The reader should write out the notes underneath character by character.

┌──
# 1
For ZnCr2Si, a crystal structure in Alexandria, relaxed with GGA-PBE gives the computed X-ray powder pattern in this record (Cu Kα, 1.54184 Å).
Neutral-atom scattering factors, no anomalous dispersion.

Largest 6 diffraction maxima, sorted by position, 5 to 70 degrees two-theta:
- hkl 0 0 2, 2θ 22.13, 4.017 Å, intensity 7.1
- hkl 1 1 2, 2θ 43.37, 2.086 Å, intensity 100.0
- hkl 0 2 0, 2θ 44.63, 2.031 Å, intensity 23.3
- hkl 0 0 4, 2θ 45.14, 2.008 Å, intensity 21.0
- hkl 2 0 0, 2θ 60.62, 1.528 Å, intensity 8.7
- hkl 0 2 4, 2θ 65.35, 1.428 Å, intensity 13.3

Structural model:
```
data_ZnCr2Si
_cell_length_a 3.055
_cell_length_b 4.061
_cell_length_c 8.034
_cell_angle_alpha 90.00
_cell_angle_beta 90.00
_cell_angle_gamma 90.00
_symmetry_space_group_name_H-M 'I m m 2'
_symmetry_Int_Tables_number 44
loop_
_symmetry_equiv_pos_as_xyz
'x,y,z'
'-x,-y,z'
'-x,y,z'
'x,-y,z'
'x+1/2,y+1/2,z+1/2'
'-x+1/2,-y+1/2,z+1/2'
'-x+1/2,y+1/2,z+1/2'
'x+1/2,-y+1/2,z+1/2'
loop_
_atom_site_label
_atom_site_fract_x
_atom_site_fract_y
_atom_site_fract_z
Zn1 0.000 0.000 0.000
Cr1 0.000 0.000 0.490
Cr2 0.000 0.500 0.766
Si1 0.000 0.500 0.239
```

=====

# 2
For Li5Ga2Sb4, a crystal structure in Alexandria, relaxed with GGA-PBE gives the computed X-ray powder pattern in this record (Cu Kα, 1.54184 Å).
Neutral-atom scattering factors, no anomalous dispersion.

Largest 6 diffraction maxima, sorted by position, 5 to 70 degrees two-theta:
- hkl 0 0 1, 2θ 10.50, 8.425 Å, intensity 26.5
- hkl 0 1 2, 2θ 23.87, 3.728 Å, intensity 40.4
- hkl 1 0 -1, 2θ 24.14, 3.687 Å, intensity 100.0
- hkl 0 1 -2, 2θ 27.15, 3.284 Å, intensity 37.6
- hkl 2 0 1, 2θ 36.71, 2.448 Å, intensity 32.3
- hkl -1 1 3, 2θ 42.61, 2.122 Å, intensity 31.7

Structural model:
```
data_Li5Ga2Sb4
_cell_length_a 4.896
_cell_length_b 6.261
_cell_length_c 8.848
_cell_angle_alpha 82.48
_cell_angle_beta 73.95
_cell_angle_gamma 89.89
_symmetry_space_group_name_H-M 'P -1'
_symmetry_Int_Tables_number 2
loop_
_symmetry_equiv_pos_as_xyz
'x,y,z'
'-x,-y,-z'
loop_
_atom_site_label
_atom_site_fract_x
_atom_site_fract_y
_atom_site_fract_z
Li1 0.000 0.000 0.000
Li2 0.307 0.996 0.385
Li3 0.312 0.526 0.377
Ga1 0.085 0.529 0.830
Sb1 0.170 0.205 0.660
Sb2 0.455 0.291 0.091
```

=====

# 3
For Ba2SrHf2O7, a crystal structure in Alexandria, relaxed with GGA-PBE gives the computed X-ray powder pattern in this record (Cu Kα, 1.54184 Å).
Neutral-atom scattering factors, no anomalous dispersion.

Largest 6 diffraction maxima, sorted by position, 5 to 70 degrees two-theta:
- hkl 1 0 5, 2θ 29.59, 3.019 Å, intensity 100.0
- hkl 1 1 0, 2θ 30.30, 2.950 Å, intensity 57.5
- hkl 2 0 0, 2θ 43.38, 2.086 Å, intensity 30.2
- hkl 1 1 10, 2θ 52.04, 1.757 Å, intensity 17.4
- hkl 2 1 5, 2θ 53.39, 1.716 Å, intensity 39.6
- hkl 2 0 10, 2θ 61.42, 1.510 Å, intensity 14.4

Structural model:
```
data_Ba2SrHf2O7
_cell_length_a 4.171
_cell_length_b 4.171
_cell_length_c 21.879
_cell_angle_alpha 90.00
_cell_angle_beta 90.00
_cell_angle_gamma 90.00
_symmetry_space_group_name_H-M 'I 4/m m m'
_symmetry_Int_Tables_number 139
_symmetry_space_group_name_Hall '-I 4 2'
loop_
_atom_site_label
_atom_site_fract_x
_atom_site_fract_y
_atom_site_fract_z
Ba1 0.000 0.000 0.185
Sr1 0.000 0.000 0.000
Hf1 0.000 0.000 0.405
O1 0.000 0.000 0.309
O2 0.000 0.000 0.500
O3 0.000 0.500 0.093
```

=====

# 4
For SrAs12Rh4, a crystal structure in Alexandria, relaxed with GGA-PBE gives the computed X-ray powder pattern in this record (Cu Kα, 1.54184 Å).
Neutral-atom scattering factors, no anomalous dispersion.

Largest 6 diffraction maxima, sorted by position, 5 to 70 degrees two-theta:
- hkl 2 2 0, 2θ 29.10, 3.068 Å, intensity 28.8
- hkl 3 0 1, 2θ 32.63, 2.744 Å, intensity 100.0
- hkl 3 1 2, 2θ 38.82, 2.320 Å, intensity 37.4
- hkl 4 2 0, 2θ 46.81, 1.941 Å, intensity 44.6
- hkl 4 2 2, 2θ 51.59, 1.772 Å, intensity 43.4
- hkl 4 3 1, 2θ 53.86, 1.702 Å, intensity 38.9

Structural model:
```
data_SrAs12Rh4
_cell_length_a 8.679
_cell_length_b 8.679
_cell_length_c 8.679
└──

# 1
For ZnCr2Si, a crystal structure in Alexandria, relaxed with GGA-PBE gives the computed X-ray powder pattern in this record (Cu Kα, 1.54184 Å).
Neutral-atom scattering factors, no anomalous dispersion.

Largest 6 diffraction maxima, sorted by position, 5 to 70 degrees two-theta:
- hkl 0 0 2, 2θ 22.13, 4.017 Å, intensity 7.1
- hkl 1 1 2, 2θ 43.37, 2.086 Å, intensity 100.0
- hkl 0 2 0, 2θ 44.63, 2.031 Å, intensity 23.3
- hkl 0 0 4, 2θ 45.14, 2.008 Å, intensity 21.0
- hkl 2 0 0, 2θ 60.62, 1.528 Å, intensity 8.7
- hkl 0 2 4, 2θ 65.35, 1.428 Å, intensity 13.3

Structural model:
```
data_ZnCr2Si
_cell_length_a 3.055
_cell_length_b 4.061
_cell_length_c 8.034
_cell_angle_alpha 90.00
_cell_angle_beta 90.00
_cell_angle_gamma 90.00
_symmetry_space_group_name_H-M 'I m m 2'
_symmetry_Int_Tables_number 44
loop_
_symmetry_equiv_pos_as_xyz
'x,y,z'
'-x,-y,z'
'-x,y,z'
'x,-y,z'
'x+1/2,y+1/2,z+1/2'
'-x+1/2,-y+1/2,z+1/2'
'-x+1/2,y+1/2,z+1/2'
'x+1/2,-y+1/2,z+1/2'
loop_
_atom_site_label
_atom_site_fract_x
_atom_site_fract_y
_atom_site_fract_z
Zn1 0.000 0.000 0.000
Cr1 0.000 0.000 0.490
Cr2 0.000 0.500 0.766
Si1 0.000 0.500 0.239
```

=====

# 2
For Li5Ga2Sb4, a crystal structure in Alexandria, relaxed with GGA-PBE gives the computed X-ray powder pattern in this record (Cu Kα, 1.54184 Å).
Neutral-atom scattering factors, no anomalous dispersion.

Largest 6 diffraction maxima, sorted by position, 5 to 70 degrees two-theta:
- hkl 0 0 1, 2θ 10.50, 8.425 Å, intensity 26.5
- hkl 0 1 2, 2θ 23.87, 3.728 Å, intensity 40.4
- hkl 1 0 -1, 2θ 24.14, 3.687 Å, intensity 100.0
- hkl 0 1 -2, 2θ 27.15, 3.284 Å, intensity 37.6
- hkl 2 0 1, 2θ 36.71, 2.448 Å, intensity 32.3
- hkl -1 1 3, 2θ 42.61, 2.122 Å, intensity 31.7

Structural model:
```
data_Li5Ga2Sb4
_cell_length_a 4.896
_cell_length_b 6.261
_cell_length_c 8.848
_cell_angle_alpha 82.48
_cell_angle_beta 73.95
_cell_angle_gamma 89.89
_symmetry_space_group_name_H-M 'P -1'
_symmetry_Int_Tables_number 2
loop_
_symmetry_equiv_pos_as_xyz
'x,y,z'
'-x,-y,-z'
loop_
_atom_site_label
_atom_site_fract_x
_atom_site_fract_y
_atom_site_fract_z
Li1 0.000 0.000 0.000
Li2 0.307 0.996 0.385
Li3 0.312 0.526 0.377
Ga1 0.085 0.529 0.830
Sb1 0.170 0.205 0.660
Sb2 0.455 0.291 0.091
```

=====

# 3
For Ba2SrHf2O7, a crystal structure in Alexandria, relaxed with GGA-PBE gives the computed X-ray powder pattern in this record (Cu Kα, 1.54184 Å).
Neutral-atom scattering factors, no anomalous dispersion.

Largest 6 diffraction maxima, sorted by position, 5 to 70 degrees two-theta:
- hkl 1 0 5, 2θ 29.59, 3.019 Å, intensity 100.0
- hkl 1 1 0, 2θ 30.30, 2.950 Å, intensity 57.5
- hkl 2 0 0, 2θ 43.38, 2.086 Å, intensity 30.2
- hkl 1 1 10, 2θ 52.04, 1.757 Å, intensity 17.4
- hkl 2 1 5, 2θ 53.39, 1.716 Å, intensity 39.6
- hkl 2 0 10, 2θ 61.42, 1.510 Å, intensity 14.4

Structural model:
```
data_Ba2SrHf2O7
_cell_length_a 4.171
_cell_length_b 4.171
_cell_length_c 21.879
_cell_angle_alpha 90.00
_cell_angle_beta 90.00
_cell_angle_gamma 90.00
_symmetry_space_group_name_H-M 'I 4/m m m'
_symmetry_Int_Tables_number 139
_symmetry_space_group_name_Hall '-I 4 2'
loop_
_atom_site_label
_atom_site_fract_x
_atom_site_fract_y
_atom_site_fract_z
Ba1 0.000 0.000 0.185
Sr1 0.000 0.000 0.000
Hf1 0.000 0.000 0.405
O1 0.000 0.000 0.309
O2 0.000 0.000 0.500
O3 0.000 0.500 0.093
```

=====

# 4
For SrAs12Rh4, a crystal structure in Alexandria, relaxed with GGA-PBE gives the computed X-ray powder pattern in this record (Cu Kα, 1.54184 Å).
Neutral-atom scattering factors, no anomalous dispersion.

Largest 6 diffraction maxima, sorted by position, 5 to 70 degrees two-theta:
- hkl 2 2 0, 2θ 29.10, 3.068 Å, intensity 28.8
- hkl 3 0 1, 2θ 32.63, 2.744 Å, intensity 100.0
- hkl 3 1 2, 2θ 38.82, 2.320 Å, intensity 37.4
- hkl 4 2 0, 2θ 46.81, 1.941 Å, intensity 44.6
- hkl 4 2 2, 2θ 51.59, 1.772 Å, intensity 43.4
- hkl 4 3 1, 2θ 53.86, 1.702 Å, intensity 38.9

Structural model:
```
data_SrAs12Rh4
_cell_length_a 8.679
_cell_length_b 8.679
_cell_length_c 8.679